Assignment >
Next, duplicate only the lines underneath with the word "relaxed" in them.

Input >
- - -
Version A
This record from the Materials Project describes a relaxed structure of Li6V3P8O29. The functional is GGA+U.

Geometry as extended XYZ:
```
92
Lattice="7.990 -5.192 -2.280 -8.880 -4.134 -0.731 -0.862 4.459 -13.227" Properties=species:S:1:pos:R:3 pbc="T T T"
Li -6.468 -2.963 -7.079
Li -2.526 0.061 -6.340
Li -1.939 1.579 -13.170
Li -3.506 -2.995 -14.574
Li -1.822 -4.688 -7.960
Li 1.733 -1.768 -1.582
Li 0.061 -6.515 -2.986
Li 1.968 -3.147 -6.962
Li 1.614 -0.965 -13.517
Li 4.843 -1.870 -9.285
Li -9.687 0.253 -13.806
Li -8.970 -1.918 -7.581
V -1.021 -0.749 -11.148
V -0.727 -4.121 -5.032
V -5.629 -5.265 -4.956
V -5.025 -3.714 -11.924
V -5.630 0.994 -10.376
V -4.074 -0.701 -3.584
P -6.367 -2.908 -2.798
P -6.899 -1.974 -9.919
P -2.650 1.194 -9.080
P -3.953 -0.612 -12.767
P -3.589 -2.835 -6.146
P -1.105 -1.788 -2.818
P 0.220 -1.002 -5.367
P -2.744 -6.650 -4.307
P 0.934 1.738 -11.952
P -1.959 -3.838 -10.816
P -0.615 -3.123 -13.387
P 1.859 -2.061 -10.127
P 2.229 -4.236 -3.468
P 0.871 -6.090 -7.157
P 5.059 -2.882 -6.336
P 4.612 -1.890 -13.355
O -7.328 -1.432 -6.260
O -6.475 -0.561 -9.573
O 0.888 2.926 -12.872
O -6.272 -4.372 -3.331
O -4.997 -2.221 -2.847
O -5.053 -0.016 -11.820
O -4.038 0.607 -9.345
O -2.569 3.231 -12.337
O -2.482 -1.117 -2.646
O -4.876 -3.593 -5.693
O -5.680 -2.778 -10.484
O -3.351 -1.619 -5.185
O -3.965 -0.078 -14.160
O -3.642 -2.426 -7.582
O -2.591 -0.210 -12.068
O -4.026 -5.760 -4.185
O -4.076 -2.169 -12.723
O -1.543 0.266 -9.562
O -0.279 -0.856 -3.840
O -0.591 -0.087 -6.220
O -0.311 -1.821 -1.536
O -1.275 -3.166 -3.469
O -2.343 -3.822 -5.937
O -0.362 0.916 -12.075
O -1.879 -2.344 -10.482
O -3.441 -4.297 -10.953
O 0.958 2.249 -10.423
O -7.539 -2.679 -8.759
O 5.748 -2.081 -7.417
O 1.718 -0.570 -5.313
O 0.204 -2.513 -5.751
O -1.473 -5.788 -4.206
O 0.638 -1.100 -10.344
O -0.383 -1.711 -12.790
O -1.518 -3.095 -14.611
O -1.278 -4.753 -9.836
O -1.342 -4.056 -12.290
O -0.218 -5.062 -6.760
O 2.249 -2.659 -3.445
O 2.134 0.774 -12.165
O 0.870 -4.689 -4.158
O 2.245 -4.756 -2.056
O 1.958 -2.566 -8.718
O 1.698 -3.179 -11.194
O 3.743 -2.241 -5.833
O 3.179 -1.284 -10.479
O 0.739 -3.747 -13.697
O 0.698 -7.330 -6.155
O 0.875 -8.067 -3.781
O 2.254 -5.426 -6.859
O 3.360 -4.734 -4.397
O 3.182 -2.478 -13.393
O 4.479 -0.411 -12.865
O -2.711 -7.771 -3.322
O 6.081 -3.054 -5.097
O 4.748 -4.323 -6.811
O -2.447 1.598 -7.629
O 5.456 -2.616 -12.198
```

=====

Version B
This record from the Materials Project describes a relaxed structure of Li6V3P8O29. The functional is GGA+U.

Geometry as extended XYZ:
```
92
Lattice="-9.809 -0.037 -0.032 -4.872 8.493 -0.015 -0.044 0.000 -13.944" Properties=species:S:1:pos:R:3 pbc="T T T"
Li -12.719 6.532 -0.900
Li -11.937 7.641 -7.817
Li -10.487 2.838 -7.815
Li -9.151 2.704 -0.897
Li -7.539 7.672 -0.853
Li -7.042 6.522 -7.805
Li -7.223 0.684 -13.133
Li -4.967 2.784 -8.539
Li -4.930 2.837 -1.611
Li -4.221 5.738 -6.105
Li -1.988 1.886 -13.114
Li -9.898 0.289 -6.879
V -7.658 3.686 -3.549
V -7.051 4.798 -10.510
V -10.448 8.440 -10.476
V -4.266 -0.010 -3.566
V -2.772 4.809 -3.513
V -11.926 3.631 -10.523
P -12.735 6.491 -11.786
P -12.040 7.730 -4.825
P -10.487 2.623 -4.796
P -9.795 5.667 -1.824
P -9.817 5.619 -8.768
P -9.093 2.693 -11.793
P -7.890 1.873 -9.197
P -7.590 7.737 -11.798
P -7.127 0.741 -2.230
P -6.843 6.546 -4.823
P -5.577 5.782 -2.233
P -4.911 2.831 -5.200
P -4.932 2.785 -12.172
P -4.249 5.797 -9.184
P -2.641 0.739 -9.201
P -2.032 1.931 -2.208
O -13.557 6.488 -7.990
O -12.670 6.308 -4.740
O -12.299 8.423 -1.011
O -11.833 7.751 -11.711
O -11.903 5.208 -11.459
O -11.258 5.645 -2.387
O -11.288 3.944 -4.590
O -10.986 2.065 -1.009
O -10.644 2.768 -11.765
O -10.592 6.865 -9.339
O -10.513 7.672 -4.659
O -10.497 4.318 -9.325
O -9.752 5.677 -0.337
O -9.803 5.644 -7.277
O -9.025 4.413 -2.409
O -9.121 7.681 -11.501
O -9.090 6.955 -2.432
O -8.999 2.890 -4.681
O -8.695 1.698 -10.592
O -8.883 1.786 -8.081
O -8.597 2.081 -13.074
O -8.499 4.075 -11.508
O -8.335 5.664 -9.348
O -7.794 2.129 -2.202
- - -

Completed >
This record from the Materials Project describes a relaxed structure of Li6V3P8O29. The functional is GGA+U.
This record from the Materials Project describes a relaxed structure of Li6V3P8O29. The functional is GGA+U.